There are three significant developments in these two chapters:
- Xenia’s second attempt — first unsuccessful, and then successful — to get CJ’s watch and Shar’s bracelet
- Finally hearing the whole story about Ms. Weeks’ family mystery
- The alarming scene that takes place between CJ, Charlie and Mr. Rogers
All three have impact on coming events, so let’s look at them in this order.
Photini to the rescue
On the drive in to Mrs. Higg’s meeting at their social hall, Photini asks Xenia why she didn’t pick someone else to come along, and Xenia is frustrated to have to explain.
“Not only do you know me best,” she said, “but out of all of us in the Club, you’re the most churchy.”
“Why do you keep saying that? I don’t even know what that means.”
“Yes, you do,” Xenia argued. “You know all about prayers and church services and stuff. You’ve read more of the Bible than any kid I know, and you do it because you actually like it. It’s just the way you are, but it gives you a really strong sense of right and wrong. … So, I need your help. All the same, don’t lose focus. … our most important job is just getting Sharleen to lend me that charm bracelet.”
“How am I supposed to do that?”
“How do I know? Pray. Quote Bible verses. Do what you’re good at.”
Photini studied her nails again, and the car’s head rest, and even the pigeons pecking in the parking lot. Suddenly, what she was good at didn’t fill her with confidence. (pages 227-229)
And at first, it looks like she might have been right. Even though she gets off to a promising start with Shar, things begin to deteriorate when she’s uncomfortable with talk about psychic and occult practices Mrs. Zell engages in. Even that wouldn’t be so bad, however, if Photini didn’t slip up and let her priggish side get the better of her.
“You shouldn’t use such filthy language. People will think you’re a skank.”
Xenia, who had been looking for some way to interrupt, drew in a quick breath. And Shar, with a slow, deliberate movement, stopped unfastening her bracelet and lifted her gaze until her eyes rested coolly on Photini.
“Why would … anyone … call me a skank?” she inquired frostily, lifting both eyebrows. (pages 234-235)
And that, for Shar — who by the way, really does seem rather skanky — is the unforgiveable sin. She withdraws the offer and all seems lost.
As I’ve said before, I really like writing Photini scenes. She has a painfully obvious kind of goody-goody streak that makes her easy to parody and lends itself to comic relief. But I always mean to convey at the end of it that, almost in spite of herself, Photini has some actual piety. Maybe not as much as she pretends to have. But enough so that, in this disastrous outcome when Xenia assumes all is lost, Photini does two things that only she would do. And they are perhaps the only two things you can do, to mend a casual relationship that has gotten off to such a terrible start.
For one thing, she exercises some real humility. The first thing she does is to “go inside” — even in the middle of a crowded group — and seek to repair some brokenness by putting herself in a prayerful state. That leads to the second real act of humility — actually apologizing, as one teenager to another, with no strings attached. (For the record, I don’t ever recall seeing such a thing when I was this age. I would have been completely amazed, if I had.)
And it’s these actions that lead to the second breakthrough, which is only partly Photini’s doing, but which she is strengthened by. Sharleen, who is the type of person who really does pick up on a lot — if usually in a rather shrewd, crafty way — sees that Photini is a kindred spirit. Neither one of them have a dad in their life. And as a kindred spirit, Shar makes one abbreviated comment, which wouldn’t mean much if it didn’t come from a fellow sufferer:
“Sucks, doesn’t it?”
Photini didn’t usually care for that expression, but under the circumstances, she was too moved to do much more than nod. “Yeah. It does.” (page 254)
This enables her to see the humanity in Sharleen, who she really had been holding in rather low esteem. That’s what allows her to take the step of apologizing, and that, as we know, is how Photini actually saves the day.
As a brief aside, people ask me sometimes how I come up with my ideas and how I work out all these little subplots in the books. I’m pretty typical, I think, in having to report how seldom I know the answer (in the first case) or have a clue what I’m doing (in the second). Since we’re at the conclusion of this small subplot, I’ll report that when I was putting together this part of the story, I only knew that Xenia should have some little task to do. And it needed to look simple, but actually be rather complex. I had a kind of placeholder idea of her getting items away from the two most obnoxious Society members, and when it came time to write that part, I found that I couldn’t really improve on the idea. As odd a notion as it was, it actually went right to the heart of what Xenia just wasn’t good at — persuading people to do any little thing for her, just for the sake of friendliness. Even Photini just barely pulled it off. For a little mystery, I think it’s actually the kind of thing that would be difficult for almost anyone.
The Weeks Treasure
The Society’s first big mystery, on the other hand, is something completely different. Not simple at all, given that people have been trying since 1870 to figure it out. And also not likely to be sorted out just by some kindhearted gestures and prayerful time. So it’s okay that Photini isn’t really in the picture for this part of things.
Calculated crystals from another source follow:
+++
Record 1
Crystalline KLiHfO3 at its relaxed geometry, computed with PBE.

Cell lengths 3.266, 6.292, 8.381 Å; angles 90.00, 90.00, 105.04 degrees
Positions (direct):
K (0.277, 0.554, 0.250)
O (0.608, 0.216, 0.460)
O (0.392, 0.784, 0.960)
O (0.392, 0.784, 0.540)
O (0.029, 0.057, 0.750)
K (0.723, 0.446, 0.750)
O (0.971, 0.943, 0.250)
Hf (0.000, 0.000, 0.500)
Li (0.444, 0.888, 0.750)
O (0.608, 0.216, 0.040)
Li (0.556, 0.112, 0.250)
Hf (0.000, 0.000, 0.000)

total DFT energy (no corrections)	-7.284	eV/atom
crystal system	orthorhombic

***

Record 2
Crystalline K2LiHfO4 at its relaxed geometry, computed with PBE.

Cell lengths 5.848, 5.570, 5.570 Å; angles 74.01, 58.34, 58.34 degrees
Each line ends with the local moment (μB).
Positions (direct):
O (0.382, 0.697, 0.000)  0.21
Hf (0.000, 0.000, 0.000)  -0.04
O (0.618, 0.000, 0.303)  0.21
K (0.500, 0.500, 0.500)  0.00
O (0.079, 0.303, 0.000)  0.21
O (0.921, 0.000, 0.697)  0.21
K (0.000, 0.500, 0.500)  0.00
Li (0.500, 0.000, 0.000)  0.00

total DFT energy (no corrections)	-6.182	eV/atom
crystal system	tetragonal

***

Computed spin magnetization (μB per cell) in order:
0.00 1.01

~~~~~

DFT (PBEsol) results for crystalline Y4CrPb at its relaxed geometry.

Cell lengths 6.1931, 6.1931, 6.1931 Å; angles 60.00, 60.00, 60.00 degrees
Atoms (fractional coordinates):
Y1 0.1250 0.1250 0.1250
Y2 0.1250 0.1250 0.6250
Y3 0.1250 0.6250 0.1250
Y4 0.6250 0.1250 0.1250
Cr1 0.5000 0.5000 0.5000
Pb1 0.7500 0.7500 0.7500

Summary:
formation energy from the elements = 550 meV/atom


DFT (PBEsol) results for crystalline YCrPb2 at its relaxed geometry.

Cell lengths 3.9220, 3.9220, 6.3721 Å; angles 90.00, 90.00, 90.00 degrees
Atoms (fractional coordinates):
Y1 0.0000 0.0000 0.0000
Cr1 0.5000 0.5000 0.2426
Pb1 0.0000 0.0000 0.4727
Pb2 0.5000 0.5000 0.7491

Summary:
formation energy from the elements = 214 meV/atom


DFT (PBEsol) results for crystalline YCrPb2 at its relaxed geometry.

Cell lengths 4.8357, 4.8432, 8.0269 Å; angles 90.00, 90.00, 90.00 degrees
Atoms (fractional coordinates):
Y1 0.0000 0.0000 0.0000
Y2 0.5000 0.5000 0.0000
Cr1 0.0000 0.0000 0.5000
Cr2 0.5000 0.5000 0.5000
Pb1 0.0000 0.5000 0.2772
Pb2 0.0000 0.5000 0.7228
Pb3 0.5000 0.0000 0.2772
Pb4 0.5000 0.0000 0.7228

Summary:
formation energy from the elements = 119 meV/atom

~~~~~

First-principles (GGA-PBE) data for a relaxed PmSmDyAl crystal, as listed in Alexandria.

POSCAR file:
```
PmSmDyAl
1.0
-1.186 5.201 -0.982
-3.372 1.296 -4.046
-4.956 1.907 1.105
Pm Dy Sm Al
1 1 1 1
direct
0.000 0.000 0.000
0.250 0.250 0.250
0.500 0.500 0.500
0.750 0.750 0.750
```

- Symmetry: F-43m, No. 216
- ΔE_f: -0.2 eV/f.u.
- Magnetic moment: 0.0 μB per formula unit
- Density of states at the Fermi level: 6.89 states/eV per cell
- Crystal system: cubic

~~~~~

This record from the Alexandria database describes a relaxed structure of Hg2IrCl6. The functional is PBE-GGA.

Calculated values
+++
There isn’t really a lot of analysis to give this portion. Hopefully, the facts that are laid out by Bobbi for the Society are easy enough to sort out. There will be more to say about all this as the Society begins in earnest to work out a little about Jessam Weeks and his possible motives. But the only thing that I’d like to add is that this take on Missouri’s history with the Civil War is, unfortunately, based on my observations from living there.
“But was he smuggling for the Union or the Confederates? Bobbi has so much stuff on her family — wouldn’t she be able to find that out?”
“That may not be as easy as you think,” her father told her. “A lot of these proud old families don’t exactly want to get into all that.”
Xenia stared at him. “But it was so long ago. No one cares now whose family was on which side, do they?”
“You’d be surprised. Some people still just don’t want to talk about it. The Civil War left deep scars in this area. Believe it or not, some of them still haven’t healed.” (page 246)
That was almost verbatim what a historian said to me, on the strange occasion I had once of running across him in an old cemetery. (Never mind for now what I was doing there.) We got into a discussion about the area and its history, in a very small town about an hour north of Kansas City. Very much a little old cow-town type of place — very Mayberry RFD (if that reference still holds up). He mentioned that there had actually been a small Civil War battle that had happened there, and I asked him why the town didn’t use the opportunity to drum up a little tourist business. He had a very wistful smile when he answered that there were some old families in that town that were still in denial over what had gone on in those days. “There were some assassinations,” he said. “But no one wants to talk about them.”
In that way, I think that Millennials and Gen-Z might have it easier. I’m not certain, but I think they would actually have an easier time turning loose of this baggage from the past. We have enough trouble with the sins we commit now. We don’t need to expend unnecessary energy trying to whitewash out the sins of the past.
In any case, try to keep the basic facts about the Weeks Treasure straight in your head. And of course, those special clues to be found in Jessam’s last words. They’ll come in handy.
‘I saw everything that happened!’
It’s been a long and informative evening, and in spite of that near-miss, Xenia does end up by getting the only thing she really wanted out of bringing along a Club member. She swoops in at just the right moment, grabs the watch and the bracelet, and clicks off two selfies for Mrs. Higg. Surely, a fine and victorious end to things.
But why is it, when things have run on a little too long and spirits are running high, things can come to such an odd turn of events, sometimes with so little notice? Xenia’s moment of triumph leads to a little bit of good-natured teasing, because CJ doesn’t seem able to cope. Why it should matter at all to him is something we can just lay aside for right now, but it’s obvious that this immature and combative tweener is suddenly bent on causing as much damage as he can to whoever he can. He happens to pick on Charlie, perhaps because he is the most stung by Charlie’s lack of respect for him.
From one bizarre accusation to another, CJ seems to be aiming darts at Charlie, just to see if he can get anything to stick. In the space of a minute, he goes from accusing Charlie of wanting to kill him to killing and burying a dog. And then just falls into some blanket assertion that he saw “everything that happened.” All based on the story — plausible but not provable — that he went over to the Rogers’ farm the preceding Friday afternoon and climbed up in the treehouse.
The girls are merely confused — by the charges, and by the confrontation that unfolds so quickly — but Charlie reacts instantly and with fury.
Having found some kind of mark, CJ doubles down, adding more strange accusations, hardly even seeming to hear what he’s saying. And even after Mr. Rogers arrives on the scene, CJ seems incapable of letting things go. Charlie’s dad seems to instantly be at a loss. He has already said that he is sometimes afraid of Charlie. Does he have some reason to be afraid that something CJ is hinting at is actually true?
And what is CJ getting at? Is there something in all this that is more dangerous than he realizes?
Obviously, we’re not going to find out for a bit. The scene boils over until Mr. Rogers merely shouts his son’s name, and that is the moment that freezes the trio for an instant.
Staring in horror at this surreal tableau, Xenia has a terrible feeling that whatever just happened has ramifications for her as well.
She’s right.
Coming up (I’ve decided to split up the next two chapters):
Misplaced crystal structures:
____________
Record 1
Here is a crystal of BaTa2Te relaxed with PBEsol from Alexandria via LeMat-Bulk. Energies are from meta-GGA SCAN.

Properties
For the volume, the calculation gives 98.9 Å³ per cell. The formation energy (no corrections) comes out at 0.653 eV per atom. As for the space group: P4/mmm. Its total DFT energy (no corrections) is -51.839 eV/atom.

Cell lengths 3.676, 3.676, 7.319 Å; angles 90.00, 90.00, 90.00 degrees
Positions (direct):
Ba  0.000  0.000  0.000
Ta  0.500  0.500  0.327
Ta  0.500  0.500  0.673
Te  0.000  0.000  0.500

=====

Record 2
Here is a crystal of BaTa2Te relaxed with PBEsol from Alexandria via LeMat-Bulk. Energies are from meta-GGA SCAN.

Properties
For the volume, the calculation gives 186.5 Å³ per cell. The formation energy (no corrections) comes out at 1.070 eV per atom. As for the space group: I4/mmm. Its total DFT energy (no corrections) is -51.422 eV/atom.

Cell lengths 4.394, 4.394, 9.660 Å; angles 90.00, 90.00, 90.00 degrees
Positions (direct):
Ba  0.000  0.000  0.000
Ba  0.500  0.500  0.500
Ta  0.000  0.500  0.250
Ta  0.000  0.500  0.750
Ta  0.500  0.000  0.250
Ta  0.500  0.000  0.750
Te  0.000  0.000  0.500
Te  0.500  0.500  0.000

=====

Record 3
Here is a crystal of BaTaZn2Te relaxed with PBEsol from Alexandria via LeMat-Bulk. Energies are from meta-GGA SCAN.

Properties
For the volume, the calculation gives 194.5 Å³ per cell. The formation energy (no corrections) comes out at 1.690 eV per atom. As for the space group: P4/mmm. Its total DFT energy (no corrections) is -32.393 eV/atom.

Cell lengths 5.584, 5.584, 6.237 Å; angles 90.00, 90.00, 90.00 degrees
Positions (direct):
Ba  0.000  0.000  0.000
Ta  0.500  0.500  0.500
Zn  0.000  0.500  0.000
Zn  0.500  0.000  0.000
Te  0.000  0.000  0.500

=====

N(E_F) per entry: 3.52; 8.39; 4.24 states/eV per cell

~~~~~

[1]
## Tb3Ho2In2 (PBE)

Data for a geometry-optimized Tb3Ho2In2 structure.

Cell: 8.5835 8.5835 8.5835 Å, 36.55 36.55 36.55°
Closest atoms and distances in Å follow each position.
Atoms (fractional coordinates):
Tb 0.0000 0.0000 0.0000  6 In 3.33, 2 Tb 3.69
Tb 0.1537 0.1537 0.1537  1 In 3.12, 3 Tb 3.17, 3 Ho 3.45
Tb 0.8463 0.8463 0.8463  1 In 3.12, 3 Tb 3.17, 3 Ho 3.45
Ho 0.4243 0.4243 0.4243  4 In 3.26-3.38, 3 Tb 3.45, 1 Ho 3.63
Ho 0.5757 0.5757 0.5757  4 In 3.26-3.38, 3 Tb 3.45, 1 Ho 3.63
In 0.2837 0.2837 0.2837  4 Tb 3.12-3.33, 4 Ho 3.26-3.38
In 0.7163 0.7163 0.7163  4 Tb 3.12-3.33, 4 Ho 3.26-3.38

Summary:
Size of the total moment (μB/f.u.): 0.00
Offset from the most stable computed form (eV/atom): 0.000
DFT formation energy (kJ per mole of atoms): -26.3
Density of states at the Fermi level (states/eV/f.u.): 5.41

***

[2]
## TbHo6In2 (PBE)

Data for a geometry-optimized TbHo6In2 structure.

Cell: 8.7563 8.7563 8.7563 Å, 138.23 138.23 60.55°
Closest atoms and distances in Å follow each position.
Atoms (fractional coordinates):
Tb 0.0000 0.0000 0.0000  4 Ho 3.13, 2 In 3.23
Ho 0.2355 0.5908 0.0000  1 Tb 3.13, 5 Ho 3.14-3.44, 2 In 3.40-3.43
____________
Here the text continues:
Chapter 16: In which much is revealed
Chapter 17: Back to Ms. Weeks’ farm, where a promising conversation with Charlie takes an unexpected turn